== Assignment ==
The reader should say how many lines of the material further below hold the word "XYZ", as a bare number.

== Source ==
=====
Record 1
Molecular formula: C35H51OSn
Method: DFT, ωB97M-V with the def2-TZVPD basis set

XYZ file:
```
88
Properties=species:S:1:pos:R:3:forces:R:3:mulliken_charge:R:1
C 2.214 -0.908 -4.020 0.101 0.147 -0.128 -1.917
C 1.969 -1.622 -2.685 -0.274 0.580 0.878 2.325
C 3.129 -2.606 -2.486 0.181 0.076 0.093 -1.674
C 0.656 -2.444 -2.767 -0.270 -0.179 0.036 -1.442
Sn -0.957 -1.963 -1.417 0.020 0.553 0.091 0.792
C -1.331 -3.741 -0.203 0.202 0.569 -0.278 -1.655
C -2.051 -4.860 -0.991 0.047 0.385 -0.108 2.254
C -3.313 -5.346 -0.283 -0.083 -0.037 0.005 -1.770
C -1.122 -6.034 -1.284 0.020 -0.102 -0.082 -1.690
C -0.417 -0.077 -0.479 -0.292 -0.605 -0.318 -1.499
C -0.487 1.039 -1.552 -0.430 -0.359 -0.223 2.147
C 0.882 1.491 -2.058 0.331 0.276 -0.352 -0.847
C -1.307 2.242 -1.063 -0.016 0.015 0.019 -1.847
C -2.923 -1.579 -2.296 0.494 -0.026 0.214 -1.701
C -3.225 -2.016 -3.731 -0.096 -0.003 0.314 1.487
C -2.482 -1.161 -4.750 0.093 -0.064 -0.262 -1.257
C -4.729 -1.948 -4.014 0.009 -0.165 -0.102 -1.727
H -2.915 -3.069 -3.843 -0.016 0.217 -0.088 0.027
H 2.457 -1.653 -4.795 -0.051 0.091 0.190 0.485
H 1.346 -0.351 -4.388 0.086 -0.059 0.211 0.401
H 3.061 -0.213 -3.954 -0.154 -0.078 -0.003 0.415
H 1.924 -0.835 -1.818 0.185 -1.562 -1.606 -0.801
H 3.197 -3.211 -3.399 0.099 -0.019 0.164 0.391
H 4.094 -2.106 -2.335 -0.175 -0.009 -0.047 0.406
H 2.974 -3.299 -1.652 -0.061 0.188 0.035 0.387
H 0.224 -2.420 -3.772 0.234 -0.093 -0.033 0.393
H 0.830 -3.500 -2.516 0.147 0.141 -0.235 0.321
H -0.334 -4.033 0.143 -0.279 -0.205 0.240 0.444
H -1.922 -3.357 0.636 0.127 -0.338 0.044 0.442
H -2.374 -4.446 -1.966 0.004 -0.234 0.205 -0.549
H -3.077 -5.780 0.696 0.021 0.086 -0.082 0.370
H -4.031 -4.532 -0.131 0.135 -0.057 0.015 0.382
H -3.810 -6.118 -0.879 -0.014 0.018 0.044 0.419
H -0.761 -6.486 -0.351 -0.029 0.092 -0.102 0.373
H -1.653 -6.808 -1.848 0.065 0.030 0.037 0.413
H -0.252 -5.734 -1.879 -0.088 0.029 0.140 0.339
H -1.153 0.061 0.317 0.227 0.212 0.083 0.644
H 0.577 -0.179 -0.042 -0.116 0.226 0.173 0.301
H -1.010 0.641 -2.444 -0.103 0.122 0.261 -0.050
H 1.700 1.100 -1.449 -0.271 0.188 -0.127 -0.224
H 1.085 1.217 -3.100 -0.277 0.048 0.192 -0.071
H 0.947 2.582 -1.994 0.023 -0.340 -0.095 0.278
H -0.754 2.783 -0.283 -0.130 -0.101 -0.164 0.102
H -1.479 2.937 -1.896 0.037 -0.059 0.184 0.496
H -2.287 1.940 -0.659 0.270 0.033 -0.106 0.406
H -3.560 -2.101 -1.574 -0.215 0.104 -0.163 0.456
H -3.074 -0.498 -2.169 -0.152 -0.184 -0.075 0.522
H -2.822 -0.117 -4.698 0.103 -0.175 0.043 0.323
H -1.395 -1.179 -4.611 -0.194 0.054 0.080 0.062
H -2.687 -1.530 -5.763 0.037 0.122 0.080 0.441
H -5.108 -0.928 -3.894 0.075 -0.045 0.025 0.347
H -4.935 -2.267 -5.040 -0.073 0.029 0.004 0.430
H -5.290 -2.602 -3.342 0.035 0.061 0.005 0.382
C 1.581 3.263 8.413 -0.128 0.216 -0.215 -0.531
C 1.051 3.700 7.189 -0.042 -0.668 0.229 -0.495
C 0.618 2.771 6.228 0.145 0.236 0.247 -0.314
C 0.777 1.408 6.498 0.383 -0.784 -0.781 0.651
O 0.674 0.376 5.563 -0.642 0.279 1.055 -0.512
C 0.947 0.655 4.227 -0.155 -0.088 -0.074 -0.074
C 2.110 0.115 3.664 -0.451 0.534 0.408 -0.689
C 2.542 0.619 2.453 -0.376 -0.095 -0.415 -0.458
C 1.796 1.602 1.747 0.309 0.255 -0.223 0.779
C 2.292 2.195 0.538 0.353 1.125 0.465 -1.197
C 2.010 3.560 0.205 0.072 -0.635 -0.041 0.629
C 2.280 4.112 -1.092 0.070 0.300 0.081 -0.851
C 1.629 5.260 -1.535 0.097 -0.094 0.511 -0.217
C 0.778 5.961 -0.663 -0.120 0.415 -0.182 -0.704
C 0.754 5.608 0.695 0.233 -0.367 -0.139 -0.484
C 1.397 4.458 1.135 -0.162 0.527 -0.391 -0.590
C 0.527 1.964 2.283 -0.208 -0.134 0.192 0.239
C 0.087 1.480 3.500 0.639 0.024 0.033 -1.159
C 1.164 0.966 7.763 0.187 0.276 0.063 -0.546
C 1.590 1.895 8.706 -0.215 0.029 0.067 -0.283
H 1.982 3.988 9.131 -0.271 -0.316 -0.271 0.338
H 0.966 4.760 6.960 0.081 -0.190 0.101 0.355
H 0.189 3.128 5.290 0.404 -0.223 0.294 0.339
H 2.685 -0.631 4.217 -0.098 0.338 -0.042 0.438
H 3.494 0.300 2.037 -0.096 -0.040 0.005 0.376
H 3.101 1.704 -0.007 -0.173 -0.017 0.183 0.382
H 2.969 3.582 -1.760 -0.317 0.099 0.175 0.347
=====

== Completed ==
1